A Sitka police car drives through downtown on Wednesday, June 5, 2013. The police department says it’s understaffed and needs more personnel to handle patrol duties in Sitka. (KCAW photo by Ed Ronco)
The Sitka Police Department is understaffed and overworked. That was the message department staff sent to the Sitka Assembly at a work session on Monday evening. The problems come at a time when police say they’re busier than ever, especially handling drug-related crime.
Since 2009, more than five full-time positions have disappeared from the police department: three police officers, one dispatcher and a lieutenant.
Two officers patrol Sitka around the clock in 12-hour shifts. And there are eight officers dedicated exclusively to regular patrol duty. In other words, the bench isn’t very deep, and if someone gets sick or injured, it often means pulling a detective off a case to handle a patrol shift.
“It puts an end to the serious investigations that we’re doing right now,” said Jason Sexton, a detective at the Sitka Police Department. “If there was a situation where there were more officers — for instance, a sergeant and two officers who are working during those shifts — it gives the department a little bit of flexibility to absorb that cost if someone comes in sick or goes on vacation.”
Sitka’s three detectives have, on average, more than two dozen open felony cases at any given time. Many of those are drug-related, and most of those land on the desk of Kyle Ferguson. He splits his time between the department and a broader narcotics task force called Southeast Alaska Cities Against Drugs, or SEACAD.
Ferguson has been working drugs cases since 2008 and says he’s never seen the drug problem in Sitka as serious as it is now, especially with meth, heroin and pharmaceuticals.
“I can think of one case off the top of my head out of the dozens we’ve worked in the last year that didn’t have a drug nexus — a direct link,” Ferguson said.
### Here the article breaks off for records of molecules
********
This record from the OMol25 dataset describes an isolated molecule of C3H2F2N2 in a non-equilibrium geometry. The level of theory is the ωB97M-V functional and the def2-TZVPD basis.

```
9
Properties=species:S:1:pos:R:3:forces:R:3
C -0.44518 -0.57729 0.06646 -0.544 0.266 1.532
C 0.91469 -0.29329 0.65055 0.180 -0.782 -0.706
C -0.46653 0.66514 -0.87781 0.967 -1.362 1.887
N 1.42330 0.76870 0.20797 0.881 0.434 0.260
N 0.56360 1.37514 -0.67143 -1.731 1.323 -1.881
F -0.86610 -1.86610 -0.19079 0.917 0.123 -1.296
F -1.55199 1.08641 -1.43617 -0.534 0.132 -0.861
H -1.12984 -0.41588 0.90353 -0.115 1.366 0.068
H 1.55805 -0.74283 1.34769 -0.022 -1.500 0.997
```
Forces are in eV/Å.

Summary:
LUMO level (hartree): -0.0161
Frontier orbital gap (eV): 10.175
HOMO (eV): -10.614
Energy (a.u.): -424.6612
Strongest force on any atom (hartree/bohr): 0.056

=====

This record from the OMol25 dataset describes an isolated molecule of C3H2F2O in a non-equilibrium geometry. The level of theory is the ωB97M-V functional and the def2-TZVPD basis.

```
8
Properties=species:S:1:pos:R:3:forces:R:3
C -0.52698 -1.71808 0.45358 -0.826 1.363 1.702
C -2.44505 -0.52357 -0.14669 -1.659 -0.933 -1.027
C -0.34411 -0.24519 0.06830 2.720 -2.503 -4.209
O -1.55045 0.34776 0.10721 -2.053 2.315 0.516
F 0.41974 -2.33818 -0.11908 1.412 -1.335 -1.178
F -3.62891 0.04762 0.00353 0.472 0.080 0.136
H 0.29839 0.24125 0.71826 1.409 0.845 1.499
H 0.19181 -0.20492 -1.03971 -1.474 0.168 2.561
```
Forces are in eV/Å.

Summary:
LUMO level (hartree): 0.0005
Frontier orbital gap (eV): 8.968
HOMO (eV): -8.953
Energy (a.u.): -390.2671
Strongest force on any atom (hartree/bohr): 0.109

=====

This record from the OMol25 dataset describes a cluster of 2 separate species, C3H2F2O2 in total in a non-equilibrium geometry. The level of theory is the ωB97M-V functional and the def2-TZVPD basis.

```
9
Properties=species:S:1:pos:R:3:forces:R:3
C -0.83393 2.35363 -1.10401 -0.161 -0.062 0.009
C 0.48440 -1.59367 0.04760 -0.169 -0.181 0.306
C 0.35366 -0.76003 1.06159 0.131 0.126 -0.333
O -1.51349 2.48517 -0.19226 -0.957 0.227 1.419
O -0.16626 2.21151 -2.02004 1.124 -0.178 -1.439
F 0.91944 -1.15799 -1.13719 0.153 0.228 -0.283
F -0.09312 -1.18113 2.24592 -0.113 -0.219 0.273
H 0.26057 -2.65121 0.06188 -0.034 0.026 0.120
H 0.58873 0.29372 1.03650 0.024 0.033 -0.074
```
Forces are in eV/Å.

Summary:
LUMO level (hartree): 0.0204
Frontier orbital gap (eV): 10.549
HOMO (eV): -9.994
Energy (a.u.): -465.7168
Strongest force on any atom (hartree/bohr): 0.036

=====

This record from the OMol25 dataset describes an isolated molecule of C3H2F2O2S in a non-equilibrium geometry. The level of theory is the ωB97M-V functional and the def2-TZVPD basis.

```
10
Properties=species:S:1:pos:R:3:forces:R:3
C -1.06897 1.16075 0.09218 -0.025 -0.398 -0.310
C -2.36999 0.94099 0.08488 -0.281 -0.503 0.398
C -0.17914 0.00404 0.12777 0.895 -1.381 0.530
O -3.39003 -1.47982 -0.70377 -2.310 -1.760 -3.353
O -1.00361 -1.16638 0.00594 -0.731 0.093 0.423
********
### Here the article continues
He told the Assembly that the problem is widespread and in places that might surprise most people.
[What comes next are data records, not part of the entry]
┌──
{"formula": "C44H46As2N3O2RuS3", "method": "wB97M-V/def2-TZVPD", "symbols": ["Ru", "N", "C", "C", "C", "O", "O", "H", "H", "H", "H", "H", "H", "S", "C", "C", "C", "C", "C", "C", "As", "C", "C", "C", "C", "C", "C", "C", "C", "C", "C", "C", "C", "H", "H", "H", "H", "H", "H", "H", "H", "H", "H", "H", "H", "H", "H", "S", "C", "C", "C", "C", "C", "C", "As", "C", "C", "C", "C", "C", "C", "C", "C", "C", "C", "C", "C", "H", "H", "H", "H", "H", "H", "H", "H", "H", "H", "H", "H", "H", "H", "C", "C", "N", "C", "S", "N", "C", "C", "H", "H", "H", "H", "H", "H", "H", "H", "H", "H", "H", "H"], "positions_angstrom": [[0.36460, 0.49014, -0.29497], [2.99032, 1.33674, -1.82235], [3.98285, 0.43430, -2.39415], [3.97994, -0.85493, -1.56340], [2.51984, -1.25490, -1.49472], [1.99391, -1.80913, -2.43980], [1.90515, -0.90029, -0.39473], [2.70268, 2.07571, -2.45330], [3.34936, 1.78046, -0.98271], [4.99358, 0.85386, -2.46144], [3.66245, 0.18004, -3.40334], [4.37104, -0.68011, -0.56113], [4.56605, -1.62333, -2.06562], [0.46787, 2.78182, -0.87863], [1.71490, 3.47861, 0.17200], [2.36457, 4.64681, -0.23154], [3.32961, 5.23023, 0.57468], [3.67748, 4.66173, 1.79229], [3.03278, 3.50513, 2.20677], [2.05548, 2.92745, 1.40845], [1.07536, 1.33134, 1.83630], [-0.34295, 1.93734, 2.99506], [-0.97946, 1.01728, 3.82329], [-2.07472, 1.41124, 4.57729], [-2.53985, 2.71785, 4.49775], [-1.90797, 3.63158, 3.66821], [-0.80879, 3.24232, 2.91414], [2.20142, 0.34471, 3.05029], [2.33146, 0.75532, 4.37465], [3.16352, 0.05593, 5.23822], [3.86343, -1.05041, 4.77809], [3.73284, -1.45767, 3.45853], [2.90217, -0.76334, 2.58749], [2.11653, 5.08622, -1.18994], [3.82768, 6.13111, 0.23902], [4.44408, 5.11179, 2.40852], [3.29695, 3.04443, 3.15132], [-0.61308, -0.00160, 3.88126], [-2.56494, 0.70134, 5.23121], [-3.39516, 3.02323, 5.08707], [-2.27256, 4.64839, 3.60317], [-0.32349, 3.95050, 2.25286], [1.77149, 1.60851, 4.74009], [3.26227, 0.37371, 6.26841], [4.51250, -1.59618, 5.45141], [4.27757, -2.32254, 3.10079], [2.78490, -1.07341, 1.56254], [-1.84357, 1.08793, 0.22900], [-2.85444, 0.88749, -1.21526], [-4.21036, 1.21874, -1.09139], [-5.06714, 1.09683, -2.16933], [-4.59443, 0.64394, -3.39953], [-3.25754, 0.31310, -3.52635], [-2.38856, 0.43392, -2.44511], [-0.54140, -0.11477, -2.52969], [-0.76910, -1.88811, -3.26868], [-0.95862, -2.08040, -4.63096], [-1.22050, -3.35458, -5.12159], [-1.30228, -4.43060, -4.25165], [-1.11454, -4.23446, -2.88992], [-0.84489, -2.96751, -2.39695], [0.17040, 0.90090, -4.01253], [1.24155, 0.38526, -4.74054], [1.83585, 1.15571, -5.73077], [1.37050, 2.43873, -5.99058], [0.30826, 2.95273, -5.26147], [-0.29105, 2.18584, -4.27092], [-4.57732, 1.58424, -0.13939], [-6.11125, 1.35993, -2.05442], [-5.26303, 0.54770, -4.24449], [-2.88420, -0.05340, -4.47663], [-0.88818, -1.24741, -5.32079], [-1.35848, -3.50239, -6.18528], [-1.50525, -5.42293, -4.63405], [-1.16574, -5.07450, -2.20817], [-0.67088, -2.81756, -1.33905], [1.60797, -0.61163, -4.52265], [2.66576, 0.75417, -6.29888], [1.83607, 3.03718, -6.76340], [-0.05464, 3.95277, -5.46175], [-1.11900, 2.58934, -3.69990], [-0.43593, -5.24272, 2.26484], [-0.40268, -4.06786, 3.22920], [-1.49093, -3.12513, 3.01096], [-1.48238, -2.16621, 2.06594], [-0.10588, -1.91674, 1.09064], [-2.57467, -1.41519, 1.92506], [-3.77052, -1.46439, 2.74255], [-4.77476, -2.51613, 2.28065], [0.40536, -5.91027, 2.45324], [-0.36610, -4.88569, 1.23731], [-1.35766, -5.81661, 2.37648], [0.53426, -3.51862, 3.13197], [-0.48295, -4.40935, 4.26195], [-2.36737, -3.33249, 3.45817], [-2.46586, -0.63143, 1.28119], [-4.21995, -0.47261, 2.68811], [-3.49661, -1.61209, 3.79158], [-5.10890, -2.29392, 1.26770], [-5.64464, -2.53208, 2.93769], [-4.33745, -3.51600, 2.26844]], "forces_ev_per_angstrom": [[-1.4, -0.2, 0.1], [0.4, 0.2, -0.2], [0.0, -0.1, 0.1], [0.0, 0.1, -0.1], [0.0, 0.0, 0.4], [-0.1, -0.1, -0.3], [0.5, 0.3, -0.2], [0.0, -0.1, 0.0], [-0.1, 0.0, 0.0], [0.0, 0.0, 0.0], [0.0, 0.0, -0.1], [0.1, 0.0, 0.0], [0.0, 0.0, 0.0], [0.3, -0.5, 0.1], [-0.1, 0.1, -0.1], [0.0, 0.1, 0.0], [0.0, 0.0, -0.1], [0.0, -0.1, 0.1], [0.0, 0.0, 0.0], [0.0, 0.0, 0.0], [0.2, -0.2, 0.1], [0.0, 0.0, 0.0], [0.0, 0.1, 0.0], [0.0, 0.0, 0.0], [0.0, 0.0, 0.0], [0.0, 0.0, 0.0], [0.0, 0.0, 0.0], [0.0, 0.1, 0.1], [0.0, -0.1, 0.1], [0.0, 0.0, 0.0], [0.0, 0.0, 0.0], [0.0, 0.0, -0.1], [0.1, 0.0, 0.2], [0.0, 0.0, 0.0], [0.0, 0.0, 0.0], [0.0, 0.0, 0.0], [0.0, 0.0, 0.0], [0.0, 0.0, 0.0], [0.0, 0.0, 0.0], [0.0, 0.0, 0.0], [0.0, 0.0, 0.0], [0.0, 0.0, 0.0], [0.0, 0.0, 0.0], [0.0, 0.0, 0.0], [0.0, 0.0, 0.0], [0.0, 0.0, 0.0], [0.0, -0.1, -0.2], [0.0, 0.0, -0.4], [-0.1, 0.1, 0.1], [0.0, 0.0, 0.0], [0.0, 0.0, 0.0], [0.0, 0.0, 0.1], [-0.1, 0.0, -0.1], [0.0, 0.1, 0.1], [0.2, 0.0, 0.2], [-0.1, 0.0, 0.0], [0.0, -0.1, 0.0], [0.0, 0.0, 0.0], [0.0, 0.0, 0.0], [0.0, 0.0, 0.0], [0.0, 0.0, 0.0], [0.1, -0.1, 0.0], [0.0, 0.1, 0.0], [0.0, 0.0, 0.0], [0.0, 0.0, 0.0], [0.0, 0.0, 0.0], [0.0, 0.0, 0.0], [0.0, 0.0, 0.0], [0.0, 0.0, 0.0], [0.0, 0.0, 0.0], [0.0, 0.0, 0.0], [0.0, 0.0, 0.0], [0.0, 0.0, 0.0], [0.0, 0.0, 0.0], [0.0, 0.0, 0.0], [0.0, 0.0, 0.0], [0.0, 0.0, 0.0], [0.0, 0.0, 0.0], [0.0, 0.0, 0.0], [0.0, 0.0, 0.0], [0.0, 0.0, 0.0], [0.0, 0.0, 0.0], [0.1, 0.0, 0.0], [0.0, 0.0, 0.0], [-0.2, 0.1, 0.0], [0.1, 0.2, -0.1], [0.0, -0.3, 0.1], [0.0, 0.0, 0.0], [0.0, 0.0, 0.0], [0.0, 0.0, 0.0], [0.0, 0.0, 0.0], [0.0, 0.0, 0.0], [0.0, 0.0, 0.0], [0.0, 0.0, 0.0], [0.0, 0.0, 0.0], [0.0, 0.1, -0.1], [0.0, 0.0, 0.0], [0.0, 0.0, 0.0], [0.0, 0.0, 0.0], [0.0, 0.0, 0.0], [0.0, 0.0, 0.0]], "mulliken_spin": [0.926, 0.034, 0.005, 0.004, -0.015, 0.004, 0.053, -0.001, -0.009, 0.000, 0.000, 0.002, -0.001, 0.001, -0.014, 0.004, -0.001, 0.004, 0.000, 0.041, -0.062, -0.014, -0.002, 0.001, 0.001, 0.000, 0.015, 0.000, 0.002, 0.001, 0.000, 0.000, -0.005, 0.001, 0.000, 0.000, 0.000, 0.001, 0.000, 0.000, 0.000, 0.002, 0.000, 0.000, 0.000, 0.000, 0.004, -0.011, -0.010, 0.009, -0.003, 0.006, 0.000, 0.009, -0.009, -0.012, 0.004, 0.000, 0.000, -0.001, 0.000, 0.000, 0.001, 0.000, -0.001, 0.001, 0.003, 0.000, 0.000, 0.000, 0.000, 
└──
“You have middle schoolers using methamphetamine and heroin,” Ferguson said. “Not all of them can pay. You have middle schoolers trading themselves — their bodies — for drugs. That’s not a Sitka problem. That’s something you hear about down south. It’s here. It’s in your backyard.”
Ferguson used that situation to illustrate the serious felonies the police department is working on.
The department’s argument for more manpower comes during contract negotiations between the city and the union representing most department employees. But management was at the helm of Monday’s presentation, which was arranged by interim municipal administrator Jay Sweeney.
“Having worked here two years, I was absolutely shocked to know the level of some of the issues the police department was facing when, all of a sudden, I was put in the role of administrator,” Sweeney said.
Cuts to the police department, and position freezes, happened when Jim Dinley was municipal administrator, and at a time when sales tax revenues were declining and the Assembly was looking to tighten the city’s belt. Nobody on the current Assembly, or even on the police department staff, pointed to Dinley as the cause of the cuts. But Police and Fire Commission Member Don Jones wasn’t as restrained.
“Something I would ask of the Assembly is to take a very long, hard look at getting the positions restored to the police department that have been deleted, unfunded, frozen, taken away over the last several years,” he said. “I lay that at the feet of the previous city administrator. I know he’s not here to defend himself, but nonetheless, I see him as responsible for having happened. And it should not have happened.”
It’s difficult to pin down a formula for how many officers a police department should have. That depends on the size of a community, its crime rate, its geography and any number of other factors. But there are averages, and Sitka is below them.
Nationwide, the average police department has about two-and-a-half police officers for every 1,000 people. That’s according to the U.S. Department of Justice. That would put Sitka at about 22 officers. The department presently has 12 sworn officers able to perform active duty, and 16 funded positions. The state average is also higher than Sitka’s complement. Using that number, a city of Sitka’s size should have about 19 officers.
Assembly members, meanwhile, had some questions. Thor Christianson wanted to know if the department had considered a reserve force of volunteers. Police Chief Sheldon Schmitt said yes, but the workload often discouraged people from signing up. Michelle Putz wanted to know what the department was asking for — what’s the minimum need? What creative ideas does the department have? How will we pay for it?
“We don’t necessarily have answers to give to you to those questions,” Sweeney said. “But one of the things I thought was very critically important was to present a broad and complex issue which has, at least, to my knowledge, has gone under the radar somewhat.”
Exactly what to do about those issues, Sweeney said, will come back to the Assembly after more conversations between him and Chief Schmitt.